I was smart enough to sense the thousand and one holes in that explanation, but I was having a hard time worrying about it. He liked that I was little. He wasn’t messing around and wanted a relationship with a little. He looked pleased as fuck to call himself a Daddy.

“Does that mean you want to…what…date?” I’d never had a conversation like this with a Dom, but I’d never met a Dom like this guy.


“What’s your name?” Yep, had to know that too.

He went still again and this time I could feel how truly unmoving he was. Would it be rude to ask him not to do that when I was on his lap? He felt like a statue.

Oh, he moved…thank goodness.

“It seems I have skipped a step in the opening social interaction ritual of humans.” For a moment he looked frustrated, but it didn’t last long. “Finding a compatible human was a distracting moment. I will do better.”

Was distracting a good thing?

Before I had to make that decision, he sat straighter and looked delightfully serious. “I have taken the human designation Wright.”

“Like the Wright brothers?” I thought it was obvious, but his beaming smile said some people hadn’t made that connection before.

“Yes.” He gave me a hug and another pat on the back. “You are a very smart human.”

It was another good boy moment and I did my best not to melt into him but damned if whatever he could sense about me didn’t make it perfectly clear. His smile softened and he stroked over my head. “I will tell you how smart you are all the time, little human.”

Yep, he could read my…my something.

_What comes next are records of crystals, not part of the page_
<<<
The following is a theoretical X-ray diffraction stick pattern of Lu3Ga. It was derived from a crystal structure in the Materials Project, relaxed with PBE, using Cu Kα.

Structure:
```
Lu3Ga
1.0
6.6065 0.0000 0.0000
-3.3033 5.7214 0.0000
0.0000 0.0000 5.2346
Lu Ga
6 2
direct
0.1718 0.3437 0.2500
0.1718 0.8282 0.2500
0.3437 0.1718 0.7500
0.6563 0.8282 0.2500
0.8282 0.1718 0.7500
0.8282 0.6563 0.7500
0.3333 0.6667 0.7500
0.6667 0.3333 0.2500
```

Top 10 peaks for 5 to 70 degrees two-theta, by intensity:
d (Å)	Position (°2θ)	I/Imax
2.510	35.8	100
2.617	34.3	25
2.861	31.3	24
1.397	67.0	21
1.490	62.3	20
1.652	55.6	19
1.931	47.1	15
1.380	67.9	15
3.862	23.0	11
3.303	27.0	4

---

The following is a theoretical X-ray diffraction stick pattern of LuMn6Ga6. It was derived from a crystal structure in the Materials Project, relaxed with PBE, using Cu Kα.

Structure:
```
LuMn6Ga6
1.0
0.0000 6.1892 6.3881
2.4219 0.0000 6.3881
2.4219 6.1892 0.0000
Lu Mn Ga
1 6 6
direct
0.0000 0.0000 0.0000
0.0000 0.0000 0.5000
0.0041 0.6471 0.3529
0.3529 0.9959 0.0041
0.5000 0.5000 0.0000
0.6471 0.0041 0.9959
0.9959 0.3529 0.6471
0.0000 0.5000 0.0000
0.2627 0.5097 0.4903
0.4903 0.7373 0.2627
0.5000 0.0000 0.5000
0.5097 0.2627 0.7373
0.7373 0.4903 0.5097
```

Top 10 peaks for 5 to 70 degrees two-theta, by intensity:
d (Å)	Position (°2θ)	I/Imax
2.223	40.6	100
2.127	42.5	53
2.172	41.6	36
3.050	29.3	27
2.528	35.5	25
3.097	28.8	21
1.548	59.8	20
1.930	47.1	14
2.838	31.5	13
2.422	37.1	13

---

What did the first record say?
The following is a theoretical X-ray diffraction stick pattern of Lu3Ga. It was derived from a crystal structure in the Materials Project, relaxed with PBE, using Cu Kα.

Structure:
```
Lu3Ga
1.0
6.6065 0.0000 0.0000
-3.3033 5.7214 0.0000
0.0000 0.0000 5.2346
Lu Ga
6 2
direct
0.1718 0.3437 0.2500
0.1718 0.8282 0.2500
0.3437 0.1718 0.7500
0.6563 0.8282 0.2500
0.8282 0.1718 0.7500
0.8282 0.6563 0.7500
0.3333 0.6667 0.7500
0.6667 0.3333 0.2500
```

Top 10 peaks for 5 to 70 degrees two-theta, by intensity:
d (Å)	Position (°2θ)	I/Imax
2.510	35.8	100
2.617	34.3	25
2.861	31.3	24
1.397	67.0	21
1.490	62.3	20
1.652	55.6	19
1.931	47.1	15
1.380	67.9	15
3.862	23.0	11
3.303	27.0	4

---

Q: Which formula does entry 2 have?
A: LuMn6Ga6

=====

# CsCoC4O4
Computed powder XRD pattern, Cu Kα (λ = 1.5418 Å). Input: a structure optimized by DFT (GGA+U).
Lines closer than 0.1° are merged.

Atomic structure:
a = 8.244 Å, b = 8.244 Å, c = 5.344 Å
α = 90.00°, β = 90.00°, γ = 90.00°
Space group I-4 (No. 82)
Inequivalent atoms, fractional coordinates:
Cs 0.000 0.000 0.000
Co 0.000 0.500 0.750
C 0.061 0.656 0.554
O 0.102 0.761 0.420

Largest 10 diffraction maxima, in order of falling intensity, 15° ≤ 2θ ≤ 90°:
two_theta	I_rel	index
29.43	100	1 2 1
21.56	45	2 0 0
19.80	45	1 0 1
48.80	26	3 1 2
37.01	23	1 1 2
30.67	16	2 2 0
49.44	14	2 4 0
58.59	14	5 0 1
43.03	14	2 3 1
36.78	13	3 0 1
>>>
_So much for the records of crystals_


“I’d like that.” There was no point in lying about it when he could basically read my mind. “I’m Dane and I’d like to be called your good boy too.”

Making him figure that out on his own seemed stupid.

That earned me a hug and his limbs stroked over me like he was rewarding my good behavior. “I am proud of you for articulating your needs and for volunteering that information, little human Dane. Communication is very important when dating a human.”

Because we were frustrating.

“I’ll try.” I wasn’t going to promise anything until I figured out what that would entail and what the consequences of lying would be.

“I will also do my best to communicate my thoughts and needs to you, little human.” The limb that had been stroking my back shifted to pet over my head and something about the way the nubby things on his tentacle massaged my scalp sent tingles through me.

It wasn’t sexual but more like a wonderful massage that made me want to melt into him. I thought it’d been subtle, but my new friend looked pleased as punch and did it again. Yep, clearly he understood I liked being petted.

“One of my thoughts revolves around the status of your designation as a little.” Wright petted over my head again and seemed to take my statement that I wanted to know what he was thinking very seriously because he jumped right in. “How would you describe the stage of childhood that you mentally descend to when you assume your role as a little?”

That had me blinking for a few seconds. It wasn’t a hard question to figure out, but in my defense, everything about the situation was distracting. “Um, it depends on the situation, but I’m usually about five or so when I play, but I can go a lot younger than that when I’m being cuddled or in that kind of situation.”

Or if I had a partner who wanted to control more.

That always made me feel younger, but I wasn’t sure this was the right time to point that out. I had a feeling Wright would take that as an invitation, not an explanation.

“I have done extensive research on appropriate play activities for a variety of ages, and I have a thorough knowledge of bottles and diapers. I will be a very competent Daddy, little human.” He said it so seriously, I found myself nodding and taking it in like he’d told me about his resume.

“You sound very knowledgeable.” And he sounded sweet, but I wasn’t sure he’d appreciate that reaction.

Records of crystals from another source follow
........
[1]
Simulated XRD peak list of HgPtAu2 for Cu Kα (weighted mean of Kα1 and Kα2), from a structure optimized by DFT (PBE).
No peak broadening, texture or thermal motion is included.

Peak list (12 most intense, 2θ from 10° to 90°, by intensity)
d [Å], intensity, index
2.412, 100.0, 0 2 2
2.403, 99.0, 2 0 2
2.092, 66.4, 2 2 0
1.472, 43.8, 2 2 4
2.072, 32.3, 0 0 4
1.262, 26.7, 2 4 2
1.258, 26.4, 4 2 2
1.252, 26.0, 2 0 6
1.206, 11.7, 0 4 4
1.202, 11.5, 4 0 4
1.483, 11.2, 0 4 0
1.475, 11.0, 4 0 0

Cell and atoms:
Cell: 5.9001 5.9332 8.2877 Å, 90.00 90.00 90.00°
Space group F222 (No. 22)
Unique sites:
Hg (0.0000, 0.0000, 0.0000)
Pt (0.2500, 0.2500, 0.2500)
Au (0.0000, 0.0000, 0.5000)
Au (0.2500, 0.2500, 0.7500)

***

[2]
Simulated XRD peak list of CaMg3Sn6 for Cu Kα (weighted mean of Kα1 and Kα2), from a structure optimized by DFT (PBE).
No peak broadening, texture or thermal motion is included.

Peak list (12 most intense, 2θ from 10° to 90°, by intensity)
d [Å], intensity, index
2.734, 100.0, 1 3 1
2.672, 50.5, 0 2 4
2.637, 48.7, 2 0 0
2.440, 38.0, -1 3 1
2.449, 35.6, 1 1 -3
4.298, 32.1, 1 1 2
2.149, 26.9, 2 2 4
1.622, 20.8, 1 5 5
3.376, 17.4, -1 1 2
3.544, 16.0, 0 2 -1
1.688, 13.1, -2 2 4
1.773, 12.3, 0 4 -2

Cell and atoms:
Cell: 5.4284 8.9742 11.5584 Å, 70.04 77.05 81.45°
Space group P-1 (No. 2)
Unique sites:
Ca (0.2276, 0.0546, 0.1074)
Mg (0.2455, 0.4572, 0.8999)
Mg (0.2502, 0.6432, 0.3106)
Mg (0.2522, 0.2557, 0.4901)
Sn (0.2400, 0.9339, 0.4145)
Sn (0.2448, 0.5447, 0.6002)
Sn (0.2526, 0.3699, 0.1958)
Sn (0.2548, 0.1796, 0.7795)
Sn (0.2549, 0.7279, 0.0199)
Sn (0.2744, 0.8500, 0.7001)

***

[3]
Simulated XRD peak list of NdDyHo3Th for Cu Kα (weighted mean of Kα1 and Kα2), from a structure optimized by DFT (PBE).
No peak broadening, texture or thermal motion is included.

Peak list (12 most intense, 2θ from 10° to 90°, by intensity)
d [Å], intensity, index
2.912, 100.0, 1 1 2
2.522, 50.7, 0 2 0
1.784, 30.3, 1 2 -4
1.522, 21.7, 1 3 2
1.520, 14.3, 3 1 -6
1.129, 11.2, 1 4 -4
1.158, 9.0, 0 3 6
1.518, 7.1, 5 1 -2
1.458, 6.2, 2 2 4
1.454, 6.2, 4 2 -4
1.779, 6.0, 4 0 -4
1.157, 6.0, 3 3 -6

Cell and atoms:
Cell: 7.9572 5.0498 10.0879 Å, 90.00 108.29 90.00°
Space group P2_1/m (No. 11)
Unique sites:
Nd (0.1723, 0.2500, 0.2926)
Dy (0.4980, 0.7500, 0.8723)
Ho (0.1689, 0.7500, 0.0426)
Ho (0.1700, 0.2500, 0.7923)
Ho (0.1743, 0.7500, 0.5438)
Th (0.4994, 0.7500, 0.3767)
........

I really didn’t know enough about him or his species to be this comfortable with him, but I had to fight the urge to curl into him and rest my head on his shoulder.

My praise had him petting my head more firmly and smiling when he stroked me just right to send waves of pleasure through me again. “Thank you, little human.”

His excitement at figuring out what I liked was so obvious I found myself sighing as he massaged my head a tiny bit harder. “I like that…thank you…”

Wright made a pleased sound and the limbs that were gently wrapped around me to brace me against his body tightened before relaxing again. “You are a very good boy for articulating your pleasures, little human.”